Official Date is Now MAY 17-19, 2024 AT Century 2 Exhibition Hall

Find Artists Added on our Artist Page

Schedule Directly through your Artist page

We are here to fully support all artists who come through the RiverCity Tattoo & Culture Expo! Each artist who signs up for a booth with us will get a artist page made for them directly through the site leading them to wherever they prefer for their schedule. We are here to show examples on your page of your work & showcase your quality to help you sell out the whole weekend! 

We are fighting for Tattoos & Culture!


When creating your Artist Expo  Page we will add artist promos like


When you become a sponsor, cosmetologist, vendor or artist we immediately create a page for you to start scheduling appointments for the event & add your logo on all flyer promotion!

Stay tuned for more!


More Artist coming soon




We are fighting for making everything right for YOU! 

Making sure to meet all requirements for The Kansas State board of Zoning, Kansas State Cosmetologists & All Wichita Zoning  requirements so we fit all specifications for successs! 


Standard Booths (10 x 10) are $700

Standard Double Booths (10 x 20) are $1,000

Premium Corner Booth (10 x 10) are $1,200

Exclusive Endcap Booths are $1,500

Additional Artist Passes are $25 (each) 

*Remember your booth comes with 2 or 4 included in the registration fee, if you have more artists, get another booth (recommended) or be sure to purchase additional artist passes



The standard booth registration fee will provide all of the amenities necessary to help make this year’s show a success for you.

All booths come with:

  • (1) 10′ x 10′ Booth
  • (2) Artist / Vendor Passes (Non Transferrable)
  • (2) Helper Passes
  • 8′ Back Drape- black
  • 3′ Side Drape- black
  • 6′ Vendor Table
  • (1) Wastebasket
  • (1) BioHazardous Sharps Containers

All your needs will be met!

1.Portable Handwashing Station

2. All Hygenic Requirement

3. Full Artist Booth Support


Standard Double BOOTH


The standard double booth registration fee will provide all of the amenities necessary to help make this year’s show a success for you.

  All booths come with:

  • (1) 10′ x 20′ Booth

  • (4) Artist / Vendor Passes (Non Transferrable)

  • (4) Helper Passes

  • 8′ Back Drape- black 

  • 3′ Side Drape- black 

  • 6′ Vendor Table
  • (1) Wastebasket

  • (1) BioHazardous Sharps Containers

All your needs will be met!

1.Portable Handwashing Station

2. All Hygenic Requirement

3. Full Artist Booth Support


pREMIER Corner Booth


Corner booths allow shops and artists to be at the ends of isles in a more preferrable placement for displaying their talents, getting noticed and interacting with fans and friends. These sell out fastest, so don’t wait!

All booths come with:

  • Corner Placement at End of Isle
  • (1) 10′ x 10′ Booth
  • (2) Artist / Vendor Passes (Non Transferrable)
  • (2) Helper Passes
  • 8′ Back Drape- black
  • 3′ Side Drape- black
  • 6′ Vendor Table
  • (1) Wastebasket
  • (1) BioHazardous Sharps Containers

All your needs will be met!

1.Portable Handwashing Station

-- Misplaced materials data --
........
This entry pairs a crystal structure of Li4Ni3O4 with its simulated X-ray powder pattern. Radiation: Cu Kα (weighted mean of Kα1 and Kα2). Structure: a GGA+U-relaxed structure.
Kinematic intensities with the Lorentz-polarization factor, no thermal factor.

Principal peaks in the range 10° ≤ 2θ ≤ 80°, in order of rising 2θ:
- 15.64 deg, 5.665 Å, rel. 65
- 27.97 deg, 3.189 Å, rel. 57
- 30.01 deg, 2.978 Å, rel. 60
- 42.69 deg, 2.118 Å, rel. 48
- 44.39 deg, 2.041 Å, rel. 100
- 47.45 deg, 1.916 Å, rel. 88

a = 6.561 Å, b = 6.561 Å, c = 6.561 Å
α = 154.54°, β = 126.02°, γ = 60.60°
Sites, in units of the cell vectors:
Li 0.012 0.827 0.184
Li 0.357 0.173 0.184
Li 0.643 0.827 0.816
Li 0.988 0.173 0.816
Ni 0.000 0.500 0.500
Ni 0.395 0.395 0.000
Ni 0.605 0.605 0.000
O 0.254 0.000 0.254
O 0.260 0.760 0.500
O 0.740 0.240 0.500
O 0.746 0.000 0.746

=====

Starting from a GGA-PBE-relaxed structure, the X-ray diffraction stick pattern of CsDyBeCl6 was computed for Cu Kα X-rays.

Structure:
Unit cell a=6.5473 b=6.5473 c=7.8010 alpha=90.00 beta=90.00 gamma=120.00
Space group P312 (No. 149)
Unique sites:
Cs 0.0000 0.0000 0.0000
Dy 0.6667 0.3333 0.5000
Be 0.3333 0.6667 0.5000
Cl 0.0369 0.3920 0.6774

Top 10 peaks for 2θ = 5–70°, sorted by position:
index, Position (°2θ), intensity
0 0 1, 11.34, 17
1 0 1, 19.35, 100
1 1 0, 27.24, 13
1 0 2, 27.76, 17
1 1 1, 29.59, 13
2 0 1, 33.63, 21
2 -1 2, 35.81, 46
1 0 3, 38.07, 16
3 -1 1, 43.81, 26
3 0 0, 48.14, 13

=====

Record 1
For V5B2W, DFT lattice parameters and positions (GGA-PBE) gives the simulated PXRD pattern in this record (Cu Ka).

Most intense lines, 2θ from 10° to 80°, sorted by position:
index, d/Å, 2theta, I/Imax
0 1 1, 5.458, 16.24, 39.1
0 0 2, 4.233, 20.99, 22.3
1 1 0, 2.847, 31.42, 37.4
0 2 2, 2.729, 32.82, 71.0
0 1 3, 2.624, 34.17, 32.2
1 1 2, 2.362, 38.09, 15.9
0 3 1, 2.291, 39.33, 30.6
1 2 1, 2.258, 39.93, 100.0
1 0 3, 2.088, 43.33, 80.8
0 2 4, 1.820, 50.11, 30.9
1 3 2, 1.725, 53.10, 23.2
0 0 6, 1.410, 66.29, 23.4

Atomic structure:
Cell: 3.1048 7.1391 8.4657 Å, 90.00 90.00 90.00°
Space group Immm (No. 71)
One atom of each set of equivalent atoms:
V 0.0000 0.0000 0.0000 [2 per cell]
V 0.0000 0.3119 0.3403 [8 per cell]
B 0.0000 0.0000 0.2821 [4 per cell]
W 0.0000 0.5000 0.0000 [2 per cell]

---

Record 2
For ThAl2Co2Ge, DFT lattice parameters and positions (GGA-PBE) gives the simulated PXRD pattern in this record (Cu Ka).

Most intense lines, 2θ from 10° to 80°, sorted by position:
index, d/Å, 2theta, I/Imax
1 0 0, 4.348, 20.42, 100.0
1 0 1, 3.460, 25.74, 42.2
1 1 0, 3.075, 29.04, 37.8
0 0 2, 2.857, 31.31, 41.2
1 1 1, 2.708, 33.08, 77.5
1 0 2, 2.388, 37.67, 91.7
2 0 0, 2.174, 41.54, 63.6
2 1 0, 1.945, 46.71, 24.4
2 0 2, 1.730, 52.92, 37.5
2 1 2, 1.608, 57.31, 54.7
2 2 0, 1.537, 60.19, 21.0
3 1 1, 1.337, 70.43, 17.1

Atomic structure:
Cell: 4.3483 4.3483 5.7146 Å, 90.00 90.00 90.00°
Space group P4/mmm (No. 123)
One atom of each set of equivalent atoms:
Th 0.0000 0.0000 0.0000 [1 per cell]
........

2. All Hygenic Requirement

3. Full Artist Booth Support


Exclusive ENDCAP


Our Exclusive Endcap Booths allow you to display your brand in the most favorable of positions inside the expo. You’ll be featured by yourself on the endcap of an isle in a major walkway of the show.

All booths come with:

  • Exclusive Placement at End of Isle
  • (1) 10′ x 20′ Booth
  • (4) Artist / Vendor Passes (Non Transferrable)
  • (4) Helper Passes
  • (2) 8′ Back Drape- black ,
  • (2) 3′ Side Drape- black
  • 6′ Vendor Table
  • (2) Wastebaskets
  • (1) BioHazardous Sharps Containers

All your needs will be met!

1.Portable Handwashing Station

2. All Hygenic Requirement

3. Full Artist Booth Support


Registration form

Any Questions ask here